Hi, I’m Adil Wali. I became a Microsoft certified professional at age 14 and started my first web development company. That led to a career as a serial entrepreneur, advisor, and startup investor. I got my first “real job” at 33, and I’m now a FinTech executive with a passion for the markets.

Effectively managing conflict in the workplace has been a topic on my mind for some time now. Having a new topic on your mind is kind of like buying a new car; you start to notice it everywhere. Now that I am thinking about effectively managing conflict, I am starting to see conflict or opportunities for healthy conflict everywhere. One of the most challenging things for one to think through as they try to create a healthy conflict culture is figuring out exactly what is worth ‘fighting over’ and what isn’t.
One has to be careful not to let the pendulum swing too far in the other direction, and turn everything into a ‘fighting moment.’ It’s very easy to get ‘caught up’ in disagreements about all sorts of details that aren’t worth the time. That’s not the kind of culture anyone wants to create. Healthy conflict has to be effectively separated from petty conflict.
Three tests to figure out what topics are worth fighting for
So far, based on my reading and studying of the subject, there are three tests that a topic can pass to be worth engaging in healthy debate and conflict over:
- Does a successful outcome create value for the organization?
- Is the nature of the problem multi-dimensional, and not simply a matter of expertise/lack-of-information?
- Will driving to a decision with multiple perspectives at the table create lasting change?
Three types of thinking
The second bullet is perhaps the hardest one to figure out. I think that Dr. Saj-nicole Joni describes the concept pretty well in her book titled “The Third Opinion.” She describes three types of thinking:
- Application thinking: This is basic thinking that involves known problems and solutions. Imagine reading a how-to manual to solve a printer problem.
- Expert thinking: This is more complex specialized thinking that requires expert help. Perhaps the printer has a broken part that needs repaired.
- Exponential thinking: This is for complex problems that don’t necessarily have simple right answers. Typically, multiple perspectives will help create a better answer. Perhaps our goal is now to design a better printer.
The key to finding the right problems lays in exponential thinking. The first two types of problems are typically too simple to try and bring multiple perspectives to the table on. Also, there is likely to be one right answer that is simply a matter of knowledge or expertise.
[Next to the text, the page also holds crystal structures]
-- begin --
Record 1
Here is a relaxed YTl2Mo crystal from the Alexandria database. Energies are from PBE-GGA.

The structure in POSCAR format:
```
YTl2Mo
1.0
1.958 -2.614 0.000
1.958 2.614 0.000
0.000 0.000 9.535
Y Tl Mo
1 2 1
Direct
0.000 0.000 0.000 Y
0.000 0.000 0.446 Tl
0.500 0.500 0.717 Tl
0.500 0.500 0.222 Mo
```

Density, g/cm3: 10.10
Raw total energy, eV/atom: -5.10
Energy relative to the elements, eV per atom: 0.4066
Offset from the most stable computed form, eV/atom: 0.150

---

Record 2
Here is a relaxed YTl2Mo crystal from the Alexandria database. Energies are from PBE-GGA.

The structure in POSCAR format:
```
YTl2Mo
1.0
0.000 3.677 3.677
3.677 0.000 3.677
3.677 3.677 0.000
Y Tl Mo
1 2 1
Direct
0.000 0.000 0.000 Y
0.250 0.250 0.250 Tl
0.500 0.500 0.500 Tl
0.750 0.750 0.750 Mo
```

Density, g/cm3: 9.92
Raw total energy, eV/atom: -4.88
Energy relative to the elements, eV per atom: 0.6272
Offset from the most stable computed form, eV/atom: 0.371

---

Record 3
Here is a relaxed Y4TlMo crystal from the Alexandria database. Energies are from PBE-GGA.

The structure in POSCAR format:
```
Y4TlMo
1.0
0.000 4.318 4.318
4.318 0.000 4.318
4.318 4.318 0.000
Y Tl Mo
4 1 1
Direct
0.124 0.124 0.124 Y
0.124 0.124 0.629 Y
0.124 0.629 0.124 Y
0.629 0.124 0.124 Y
0.500 0.500 0.500 Tl
0.750 0.750 0.750 Mo
```

Density, g/cm3: 6.76
Raw total energy, eV/atom: -5.77
Energy relative to the elements, eV per atom: 0.7364

---

Record 4
Here is a relaxed YTl2Mo crystal from the Alexandria database. Energies are from PBE-GGA.

The structure in POSCAR format:
```
YTl2Mo
1.0
1.635 0.944 10.081
-1.635 0.944 10.081
0.000 -1.888 10.081
Y Tl Mo
1 2 1
Direct
0.000 0.000 0.000 Y
0.243 0.243 0.243 Tl
0.757 0.757 0.757 Tl
0.500 0.500 0.500 Mo
```

Density, g/cm3: 10.56
Raw total energy, eV/atom: -5.09
Energy relative to the elements, eV per atom: 0.4211
Offset from the most stable computed form, eV/atom: 0.165

---

Record 5
Here is a relaxed YTl2Mo crystal from the Alexandria database. Energies are from PBE-GGA.

The structure in POSCAR format:
```
YTl2Mo
1.0
0.000 3.591 3.591
3.591 0.000 3.591
3.591 3.591 0.000
Y Tl Mo
1 2 1
Direct
0.000 0.000 0.000 Y
0.250 0.250 0.250 Tl
0.750 0.750 0.750 Tl
0.500 0.500 0.500 Mo
```

Density, g/cm3: 10.64
Raw total energy, eV/atom: -5.18
Energy relative to the elements, eV per atom: 0.3257
Offset from the most stable computed form, eV/atom: 0.070

---

Record 6
Here is a relaxed Y2TlMo crystal from the Alexandria database. Energies are from PBE-GGA.

The structure in POSCAR format:
```
Y2TlMo
1.0
0.000 3.608 3.608
3.608 0.000 3.608
3.608 3.608 0.000
Y Tl Mo
2 1 1
Direct
-- stop --
It all takes energy
The key takeaway for me here is that conflict takes energy and time. For most of us (especially me) it has a sapping effect. I don’t necessarily love conflict, and I suspect that I am not alone. So it’s important to find the right balance of it, and it’s even more important to do it for the right reasons. While no acid test is perfect, the one above has been pretty effective for me so far!